The Family Hope Center, an organisation that works with families whose children have a range of neurological conditions and brain injury, is holding “an interactive presentation for parents and professionals” in Bradley Stoke on Thursday 9th June. The event will take place from 1pm to 4pm at The West of England MS Therapy Centre (on Wheatfield Drive). The event has been organised by Melvyn Joyce, a parent who is currently following The Family Hope Center’s neuro-development programme for his daughter; he and his partner have found the Center’s exercises very beneficial.
Melvyn’s daughter Ella has “a random, non-inherited gene deletion that causes severe neurological dysfunction”. Melvyn and his wife, Claire, had been looking for a solution for their daughter’s condition when they came across The Family Hope Center, based in the USA but working with families all over the world. The Center shows parents how they can follow an individual treatment programme for their child at home.
Measurable progress
┌──
# PBE RbMgSbO3, relaxed
# Uncorrected energy   -4.612 eV/atom
# Total moment   0.00 μB/f.u.
# Theoretical density   4.45 g/cm³
# Formation energy from the elements   -1.36 eV/atom
# Energy above the lowest structure with this stoichiometry   0.694 eV per atom
data_RbMgSbO3
_cell_length_a 4.365
_cell_length_b 4.365
_cell_length_c 5.472
_cell_angle_alpha 90.00
_cell_angle_beta 90.00
_cell_angle_gamma 90.00
_symmetry_space_group_name_H-M 'P 1'
_symmetry_Int_Tables_number 1
_symmetry_space_group_name_Hall 'P 1'
loop_
_atom_site_label
_atom_site_type_symbol
_atom_site_fract_x
_atom_site_fract_y
_atom_site_fract_z
Rb1 Rb 0.000 0.000 0.000
Mg1 Mg 0.000 0.000 0.500
Sb1 Sb 0.500 0.500 0.500
O1 O 0.000 0.500 0.500
O2 O 0.500 0.000 0.500
O3 O 0.500 0.500 0.000

---

# PBE RbMg6SbO8, relaxed
# Uncorrected energy   -5.251 eV/atom
# Total moment   0.00 μB/f.u.
# Theoretical density   4.04 g/cm³
# Formation energy from the elements   -2.20 eV/atom
# Energy above the lowest structure with this stoichiometry   0.085 eV per atom
data_RbMg6SbO8
_cell_length_a 4.679
_cell_length_b 4.679
_cell_length_c 9.039
_cell_angle_alpha 90.00
_cell_angle_beta 90.00
_cell_angle_gamma 90.00
_symmetry_space_group_name_H-M 'P 1'
_symmetry_Int_Tables_number 1
_symmetry_space_group_name_Hall 'P 1'
loop_
_atom_site_label
_atom_site_type_symbol
_atom_site_fract_x
_atom_site_fract_y
_atom_site_fract_z
Rb1 Rb 0.000 0.000 0.000
Mg1 Mg 0.000 0.500 0.235
Mg2 Mg 0.000 0.500 0.765
Mg3 Mg 0.500 0.000 0.235
Mg4 Mg 0.500 0.000 0.765
Mg5 Mg 0.500 0.500 0.000
Mg6 Mg 0.500 0.500 0.500
Sb1 Sb 0.000 0.000 0.500
O1 O 0.000 0.000 0.268
O2 O 0.000 0.000 0.732
O3 O 0.000 0.500 0.000
O4 O 0.000 0.500 0.500
O5 O 0.500 0.000 0.000
O6 O 0.500 0.000 0.500
O7 O 0.500 0.500 0.252
O8 O 0.500 0.500 0.748

---

# PBE RbMg6SbO8, relaxed
# Uncorrected energy   -5.336 eV/atom
# Total moment   0.00 μB/f.u.
# Theoretical density   4.10 g/cm³
# Formation energy from the elements   -2.29 eV/atom
# Energy above the lowest structure with this stoichiometry   0.000 eV per atom
data_RbMg6SbO8
_cell_length_a 4.649
_cell_length_b 4.649
_cell_length_c 9.022
_cell_angle_alpha 90.00
_cell_angle_beta 90.00
_cell_angle_gamma 90.00
_symmetry_space_group_name_H-M 'P 1'
_symmetry_Int_Tables_number 1
_symmetry_space_group_name_Hall 'P 1'
loop_
_atom_site_label
_atom_site_type_symbol
_atom_site_fract_x
_atom_site_fract_y
_atom_site_fract_z
Rb1 Rb 0.000 0.000 0.000
Mg1 Mg 0.000 0.000 0.500
Mg2 Mg 0.000 0.500 0.271
Mg3 Mg 0.000 0.500 0.729
Mg4 Mg 0.500 0.000 0.271
Mg5 Mg 0.500 0.000 0.729
Mg6 Mg 0.500 0.500 0.500
Sb1 Sb 0.500 0.500 0.000
O1 O 0.000 0.000 0.284
O2 O 0.000 0.000 0.716
O3 O 0.000 0.500 0.000
O4 O 0.000 0.500 0.500
O5 O 0.500 0.000 0.000
O6 O 0.500 0.000 0.500
O7 O 0.500 0.500 0.265
O8 O 0.500 0.500 0.735

~~~~~

(1)
The following is a PBE+U calculation of a geometry-optimized Sr3W2O9 structure, from the Materials Project database.

## Properties
* M_tot: 0.00 μB/cell
* symmetry: P2_1/m, No. 11
└──
The organisation advocates a “programme-based solution that is measurable”, so that parents and carers can measure their child’s neuro-developmental progress in stages, rather than just managing symptoms on a day-to-day basis. The programme involves physical, physiological, emotional, social and nutritional treatments to target the area of weakness or injury and build new pathways in the brain.
**Misplaced materials data:**
- - -
1.
# V18Ag7O48 (PBE with a Hubbard U, relaxed)
data_V18Ag7O48
_chemical_formula_sum 'V18 Ag7 O48'
_cell_length_a 8.3601
_cell_length_b 10.4580
_cell_length_c 12.9058
_cell_angle_alpha 113.79
_cell_angle_beta 82.17
_cell_angle_gamma 109.88
_space_group_name_H-M_alt 'P 1'
_space_group_IT_number 1
loop_
_space_group_symop_operation_xyz
'x,y,z'
loop_
_atom_site_label
_atom_site_type_symbol
_atom_site_fract_x
_atom_site_fract_y
_atom_site_fract_z
V1 V 0.1784 0.0740 0.0788
V2 V 0.4860 0.5932 0.9208
V3 V 0.1556 0.2589 0.9195
V4 V 0.1446 0.8231 0.5409
V5 V 0.4781 0.1557 0.5399
V6 V 0.8116 0.4904 0.5409
V7 V 0.8634 0.5982 0.8105
V8 V 0.1964 0.9320 0.8103
V9 V 0.5270 0.2657 0.8071
V10 V 0.4709 0.7351 0.1897
V11 V 0.8084 0.0690 0.1930
V12 V 0.1394 0.4041 0.1965
V13 V 0.5221 0.8430 0.4593
V14 V 0.1890 0.5105 0.4601
V15 V 0.8555 0.1775 0.4603
V16 V 0.5064 0.4131 0.0816
V17 V 0.8467 0.7415 0.0791
V18 V 0.8208 0.9231 0.9194
Ag1 Ag 0.1910 0.3706 0.6811
Ag2 Ag 0.1427 0.9625 0.3186
Ag3 Ag 0.4752 0.2966 0.3199
Ag4 Ag 0.5242 0.7030 0.6808
Ag5 Ag 0.8584 0.0354 0.6796
Ag6 Ag 0.8101 0.6312 0.3199
Ag7 Ag 0.7879 0.2522 0.0210
O1 O 0.3006 0.5006 0.5527
O2 O 0.0581 0.2536 0.8131
O3 O 0.3896 0.5874 0.8142
O4 O 0.2753 0.0796 0.1850
O5 O 0.0331 0.8340 0.4491
O6 O 0.3661 0.1663 0.4482
O7 O 0.0342 0.0713 0.9284
O8 O 0.3699 0.4063 0.9284
O9 O 0.7010 0.7384 0.9280
O10 O 0.7478 0.5895 0.6762
O11 O 0.0813 0.9228 0.6763
O12 O 0.4140 0.2561 0.6759
O13 O 0.9822 0.7974 0.8275
O14 O 0.3150 0.1309 0.8271
O15 O 0.6489 0.4643 0.8268
O16 O 0.3522 0.8340 0.2700
O17 O 0.6868 0.1681 0.2692
O18 O 0.0152 0.5022 0.2718
O19 O 0.3632 0.9632 0.5387
O20 O 0.6961 0.2961 0.5389
O21 O 0.0295 0.6298 0.5390
O22 O 0.3988 0.6995 0.0451
O23 O 0.7319 0.0334 0.0440
O24 O 0.0667 0.3656 0.0419
O25 O 0.2688 0.9684 0.9538
O26 O 0.9345 0.6331 0.9533
O27 O 0.5964 0.3012 0.9535
O28 O 0.6367 0.0375 0.4614
O29 O 0.9699 0.3700 0.4617
O30 O 0.3039 0.7042 0.4617
O31 O 0.3145 0.8328 0.7301
O32 O 0.6476 0.1667 0.7307
O33 O 0.9811 0.4989 0.7297
O34 O 0.0134 0.1961 0.1712
O35 O 0.6859 0.8676 0.1708
O36 O 0.3591 0.5389 0.1706
O37 O 0.5873 0.7448 0.3246
O38 O 0.9187 0.0762 0.3250
O39 O 0.2552 0.4108 0.3268
O40 O 0.2980 0.2618 0.0724
O41 O 0.6345 0.5940 0.0704
O42 O 0.9654 0.9266 0.0706
O43 O 0.6341 0.8336 0.5518
O44 O 0.9672 0.1670 0.5522
O45 O 0.7242 0.9204 0.8139
O46 O 0.6071 0.4128 0.1846
O47 O 0.9429 0.7460 0.1849
O48 O 0.6990 0.4998 0.4488
# SG: P1 (1)
# Formation energy: -2.05 eV per atom
# Uncorrected energy: -6.94 eV/atom

***

2.
# MnBi2I8O8 (PBE with a Hubbard U, relaxed)
data_MnBi2I8O8
_chemical_formula_sum 'Mn2 Bi4 I16 O16'
_cell_length_a 8.0657
_cell_length_b 13.6007
_cell_length_c 12.5932
_cell_angle_alpha 90.00
_cell_angle_beta 119.54
_cell_angle_gamma 90.00
_space_group_name_H-M_alt 'P 1'
_space_group_IT_number 1
loop_
_space_group_symop_operation_xyz
'x,y,z'
loop_
_atom_site_label
_atom_site_type_symbol
_atom_site_fract_x
_atom_site_fract_y
_atom_site_fract_z
Mn1 Mn 0.0000 0.5000 0.5000
- - -
Melvyn Joyce, who lives in north Bristol, attended one of the Center’s Parent Training Conferences last November, and says that “after only four months of implementing the programme at home for our daughter, Ella, we have seen a number of positive behavioural and developmental changes.” Melvyn says that through the programme, The Family Hope Center has successfully taken more than 3,000 children off their medication since 2002.
Local centre’s support
When Melvyn learnt that the organisation aims to extend its reach to the UK, he expressed his interest in organising an informative event in Bristol. The West of England MS Therapy Centre showed its support for holding the event here in Bradley Stoke. Doro Pasantes at the MS Therapy Centre has said, “We are very happy to have been chosen for the Family Hope Center’s neuro-rehabilitation open house event on 9th June”. Doro points out that over the last four years, The West of England MS Therapy Centre here in Bradley Stoke has extended its therapies to “any person living with a neurological condition in the Greater Bristol area, including Fibromyalgia, Parkinson’s, stroke and ME”, and oxygen treatment is also available on site for children with neurological conditions.
**These calculated crystals were left in the piece by mistake**
____________
# Li2CaHfF8

An optimized crystal structure of Li2CaHfF8 (PBE, the Materials Project database).

Values from the calculation:
The energy of formation from the pure elements is -3.883 eV/atom. The crystal system is tetragonal. The value obtained for the largest piezoelectric modulus is 0.1 C/m2. The MP2020-corrected energy is -77.7 eV for the cell shown. For the total energy, the calculation gives -73.99 eV/cell.

```
Li2CaHfF8
1.0
3.3408 -0.5152 5.4880
-2.1714 4.1783 4.4013
-2.9595 -4.3405 -3.7345
Hf Li F Ca
1 2 8 1
direct
0.2500 0.7500 0.5000 Hf
0.7500 0.2500 0.5000 Li
0.0000 0.0000 0.0000 Li
0.2371 0.7987 0.8570 F
0.9416 0.3801 0.1430 F
0.8694 0.8931 0.4021 F
0.4909 0.4673 0.5979 F
0.5327 0.1306 0.0237 F
0.6199 0.7629 0.5615 F
0.2013 0.0584 0.4385 F
0.1069 0.5091 0.9763 F
0.5000 0.5000 0.0000 Ca
```

# OsRh2N10Cl10

An optimized crystal structure of OsRh2N10Cl10 (PBE, the Materials Project database).

Values from the calculation:
The energy of formation from the pure elements is 0.932 eV/atom. As for the size of the total moment: 4.2 μB per formula unit. The crystal system is monoclinic. The MP2020-corrected energy is -106.4 eV for the cell shown. For the total energy, the calculation gives -100.24 eV/cell.

```
OsRh2N10Cl10
1.0
4.3876 5.1844 0.0000
-4.3876 5.1844 0.0000
0.0000 3.1274 12.5554
N Rh Cl Os
10 2 10 1
direct
0.8795 0.5871 0.1160 N
0.1205 0.4129 0.8840 N
0.5319 0.5319 0.7260 N
0.4863 0.1518 0.6671 N
0.5137 0.8482 0.3329 N
0.8482 0.5137 0.3329 N
0.4681 0.4681 0.2740 N
0.1518 0.4863 0.6671 N
0.5871 0.8795 0.1160 N
0.4129 0.1205 0.8840 N
0.6659 0.6659 0.2617 Rh
0.3341 0.3341 0.7383 Rh
0.0406 0.0406 0.3168 Cl
0.2226 0.2226 0.4897 Cl
0.2340 0.2340 0.9520 Cl
0.7355 0.2645 0.5000 Cl
0.2645 0.7355 0.5000 Cl
0.5804 0.5804 0.8378 Cl
0.7774 0.7774 0.5103 Cl
0.7660 0.7660 0.0480 Cl
0.4196 0.4196 0.1622 Cl
0.9594 0.9594 0.6832 Cl
0.0000 0.0000 0.5000 Os
```

# K2P2H2O7

An optimized crystal structure of K2P2H2O7 (PBE, the Materials Project database).

Values from the calculation:
The energy of formation from the pure elements is -2.353 eV/atom. The value obtained for the distance to the lowest polymorph of the same formula is 0 meV per atom. As for the size of the total moment: 0.0 μB per formula unit. The crystal system is triclinic. The MP2020-corrected energy is -340.2 eV for the cell shown. For the total energy, the calculation gives -320.97 eV/cell.

```
K2P2H2O7
1.0
-5.7807 -4.4241 3.8744
-2.7547 -3.0347 -7.2356
5.9348 -9.5973 0.1368
O K P H
28 8 8 8
direct
0.2194 0.4330 0.1107 O
0.7039 0.4871 0.4071 O
0.0214 0.1893 0.9239 O
0.0808 0.2183 0.3792 O
0.8966 0.4301 0.2224 O
0.7806 0.5671 0.8893 O
0.6439 0.4026 0.7187 O
0.5485 0.1908 0.9004 O
0.5253 0.8318 0.3147 O
0.4747 0.1682 0.6853 O
0.5272 0.1379 0.2368 O
0.2961 0.5129 0.5929 O
0.4728 0.8621 0.7632 O
0.6539 0.6144 0.1927 O
0.9326 0.0493 0.7471 O
0.1034 0.5699 0.7776 O
0.9192 0.7817 0.6208 O
0.0674 0.9507 0.2529 O
0.6887 0.0167 0.4149 O
0.4515 0.8092 0.0996 O
0.3461 0.3856 0.8073 O
____________
The Family Hope Center’s presentation is titled “Your Child’s Brain”, and will be a three-hour interactive session in which founder and director, Matthew Newell, will begin to address the root causes of children’s neurological challenges, as well as steps to developing the brain, rather than just focussing on a child’s presenting symptoms. Melvyn Joyce told us that having hope for improving his daughter’s quality of life, rather than resigning himself to accepting her existing condition and symptoms, was very empowering.
The event is for professionals as well as carers; there will be time to ask questions, and refreshments will be provided for attendees before the presentation as well as during the break.
For more information about the event, please contact Samantha Tebb on 07816 251678. Please visit for information about The Family Hope Center’s programmes.
Photo: Melvyn Joyce and daughter Ella.
This article originally appeared in the June 2016 edition of the Bradley Stoke Journal news magazine, delivered FREE, EVERY MONTH, to 9,500 homes in Bradley Stoke, Little Stoke and Stoke Lodge. Phone 01454 300 400 to enquire about advertising or leaflet insertion.